........
Record 1
Starting from the PBE+U geometry in Alexandria, the powder X-ray diffraction pattern of FePH6NO5 was computed for a wavelength of 1.5418 Å.

Crystal structure
a = 4.8905 Å, b = 5.7064 Å, c = 8.9895 Å
α = 89.85°, β = 89.95°, γ = 86.90°
Element x y z (fractional)
Fe  0.0000  0.0000  0.0000
Fe  0.4928  0.4910  0.0464
P  0.4298  0.9917  0.2181
P  0.9327  0.5087  0.8259
H  0.0533  0.0114  0.4748
H  0.1976  0.5119  0.5660
H  0.3518  0.1769  0.8195
H  0.3761  0.6876  0.4493
H  0.3933  0.3912  0.4274
H  0.4712  0.9105  0.8352
H  0.5516  0.5120  0.5738
H  0.6995  0.0132  0.4802
H  0.8642  0.6592  0.2251
H  0.8761  0.1928  0.5953
H  0.8899  0.8980  0.6231
H  0.9598  0.3896  0.2120
N  0.3785  0.5251  0.5039
N  0.8788  0.0277  0.5433
O  0.2435  0.4902  0.8523
O  0.2749  0.2112  0.1433
O  0.2939  0.7769  0.1443
O  0.3027  0.0106  0.8166
O  0.3789  0.9925  0.3888
O  0.7391  0.9838  0.1880
O  0.7906  0.3097  0.9145
O  0.7970  0.7458  0.8853
O  0.8003  0.4982  0.2336
O  0.8763  0.4868  0.6564

Most intense lines, 2θ from 10° to 90°, by intensity:
| 2theta | I_rel |
| --- | --- |
| 30.76 | 100 |
| 31.78 | 72 |
| 31.40 | 65 |
| 20.70 | 58 |
| 18.43 | 38 |
| 38.20 | 28 |
| 26.59 | 27 |
| 25.39 | 21 |

=====

Record 2
Starting from the PBE+U geometry in Alexandria, the powder X-ray diffraction pattern of Mo3Cl7O was computed for a wavelength of 1.5418 Å.

Crystal structure
a = 7.2282 Å, b = 7.2282 Å, c = 9.0420 Å
α = 126.61°, β = 126.61°, γ = 59.99°
Element x y z (fractional)
Mo  0.0000  0.0000  0.0000
Mo  0.9999  0.4707  0.0001
Mo  0.4707  0.9999  0.0001
Cl  0.2060  0.7170  0.7711
Cl  0.2065  0.2065  0.7719
Cl  0.2544  0.7647  0.2099
Cl  0.7170  0.2060  0.7711
Cl  0.7183  0.7183  0.7884
Cl  0.7644  0.7644  0.2094
Cl  0.7647  0.2544  0.2099
O  0.2182  0.2182  0.1234

Most intense lines, 2θ from 10° to 90°, by intensity:
| 2theta | I_rel |
| --- | --- |
| 13.51 | 100 |
| 31.71 | 45 |
| 39.88 | 30 |
| 31.61 | 23 |
| 39.74 | 22 |
| 15.68 | 21 |
| 50.51 | 21 |
| 50.90 | 15 |
........

Type out the entries above without additions.

Record 1
Starting from the PBE+U geometry in Alexandria, the powder X-ray diffraction pattern of FePH6NO5 was computed for a wavelength of 1.5418 Å.

Crystal structure
a = 4.8905 Å, b = 5.7064 Å, c = 8.9895 Å
α = 89.85°, β = 89.95°, γ = 86.90°
Element x y z (fractional)
Fe  0.0000  0.0000  0.0000
Fe  0.4928  0.4910  0.0464
P  0.4298  0.9917  0.2181
P  0.9327  0.5087  0.8259
H  0.0533  0.0114  0.4748
H  0.1976  0.5119  0.5660
H  0.3518  0.1769  0.8195
H  0.3761  0.6876  0.4493
H  0.3933  0.3912  0.4274
H  0.4712  0.9105  0.8352
H  0.5516  0.5120  0.5738
H  0.6995  0.0132  0.4802
H  0.8642  0.6592  0.2251
H  0.8761  0.1928  0.5953
H  0.8899  0.8980  0.6231
H  0.9598  0.3896  0.2120
N  0.3785  0.5251  0.5039
N  0.8788  0.0277  0.5433
O  0.2435  0.4902  0.8523
O  0.2749  0.2112  0.1433
O  0.2939  0.7769  0.1443
O  0.3027  0.0106  0.8166
O  0.3789  0.9925  0.3888
O  0.7391  0.9838  0.1880
O  0.7906  0.3097  0.9145
O  0.7970  0.7458  0.8853
O  0.8003  0.4982  0.2336
O  0.8763  0.4868  0.6564

Most intense lines, 2θ from 10° to 90°, by intensity:
| 2theta | I_rel |
| --- | --- |
| 30.76 | 100 |
| 31.78 | 72 |
| 31.40 | 65 |
| 20.70 | 58 |
| 18.43 | 38 |
| 38.20 | 28 |
| 26.59 | 27 |
| 25.39 | 21 |

=====

Record 2
Starting from the PBE+U geometry in Alexandria, the powder X-ray diffraction pattern of Mo3Cl7O was computed for a wavelength of 1.5418 Å.

Crystal structure
a = 7.2282 Å, b = 7.2282 Å, c = 9.0420 Å
α = 126.61°, β = 126.61°, γ = 59.99°
Element x y z (fractional)
Mo  0.0000  0.0000  0.0000
Mo  0.9999  0.4707  0.0001
Mo  0.4707  0.9999  0.0001
Cl  0.2060  0.7170  0.7711
Cl  0.2065  0.2065  0.7719
Cl  0.2544  0.7647  0.2099
Cl  0.7170  0.2060  0.7711
Cl  0.7183  0.7183  0.7884
Cl  0.7644  0.7644  0.2094
Cl  0.7647  0.2544  0.2099
O  0.2182  0.2182  0.1234

Most intense lines, 2θ from 10° to 90°, by intensity:
| 2theta | I_rel |
| --- | --- |
| 13.51 | 100 |
| 31.71 | 45 |
| 39.88 | 30 |
| 31.61 | 23 |
| 39.74 | 22 |
| 15.68 | 21 |
| 50.51 | 21 |
| 50.90 | 15 |